Input:
~~~
This record from the Open Molecules 2025 dataset describes 7 unconnected molecules or ions with the total composition C47H43NO17. The level of theory is wB97M-V/def2-TZVPD.

SMILES string: COCCCC[C@@]1(CCC(N)=O)COC(=O)O1.O=C1C=CC(=O)C=C1.O=C1C=CC(=O)C=C1.O=C1C=CC(=O)C=C1.O=C1C=CC(=O)C=C1.O=C1C=CC(=O)C=C1.O=C1C=CC(=O)C=C1
HOMO energy (eV): -9.951

Atoms and positions in Å:
C (0.7488, -3.4385, 0.1795)
O (1.0489, -2.7622, 1.4511)
C (0.7541, -1.2960, 1.3448)
C (-0.8719, -0.9950, 1.2090)
C (-1.2214, 0.2943, 0.2460)
C (-2.3108, -0.0085, -0.9401)
C (-3.7771, -0.5299, -0.4259)
C (-4.3000, -1.8379, -1.2812)
C (-4.5046, -3.1941, -0.3573)
C (-6.0543, -3.3641, 0.2197)
N (-6.1785, -3.8671, 1.6473)
O (-7.1645, -3.1344, -0.4861)
C (-4.2124, -0.3692, 1.1465)
O (-4.6130, 1.0576, 1.3236)
C (-5.3230, 1.3790, 0.0520)
O (-6.3382, 2.2738, -0.0949)
O (-4.6740, 0.5397, -0.9770)
H (0.5074, -2.6010, -0.6274)
H (-0.2423, -4.0759, 0.3373)
H (1.6256, -4.0861, -0.2499)
H (1.3928, -0.7969, 0.4824)
H (1.1633, -0.8123, 2.3565)
H (-1.2331, -0.6852, 2.3035)
H (-1.4980, -1.9694, 0.9501)
H (-0.1966, 0.5771, -0.2972)
H (-1.4829, 1.2492, 0.9119)
H (-2.4392, 1.0069, -1.5523)
H (-1.8274, -0.7849, -1.6882)
H (-3.5336, -2.1297, -2.1485)
H (-5.3532, -1.6490, -1.8093)
H (-3.7386, -3.2808, 0.5268)
H (-4.3264, -4.1551, -1.0415)
H (-5.2378, -3.7244, 2.1246)
H (-6.9150, -3.3505, 2.1831)
H (-3.5475, -0.8559, 1.9901)
H (-5.2585, -0.9079, 1.3252)
C (-0.4020, -1.0540, -4.4368)
C (-0.5634, -0.1993, -5.4516)
C (0.5623, 0.6108, -5.9573)
O (0.4150, 1.3948, -6.8848)
C (1.8729, 0.4388, -5.2996)
C (2.0343, -0.4159, -4.2848)
C (0.9086, -1.2260, -3.7791)
O (1.0559, -2.0100, -2.8516)
H (-1.2173, -1.6552, -4.0533)
H (-1.5181, -0.0623, -5.9450)
H (2.6882, 1.0399, -5.6831)
H (2.9891, -0.5529, -3.7914)
C (3.5561, -7.6272, -2.5864)
C (4.8717, -7.4618, -2.7548)
C (5.4479, -6.1298, -3.0249)
O (6.6517, -5.9778, -3.1811)
C (4.5148, -4.9881, -3.1000)
C (3.1993, -5.1535, -2.9317)
C (2.6230, -6.4855, -2.6616)
O (1.4193, -6.6375, -2.5053)
H (3.1171, -8.5974, -2.3883)
H (5.5693, -8.2890, -2.7019)
H (4.9538, -4.0179, -3.2981)
H (2.5017, -4.3262, -2.9846)
C (4.0115, 5.8361, -3.0011)
C (4.7404, 4.7221, -3.1201)
C (4.5174, 3.7758, -4.2309)
O (5.1827, 2.7549, -4.3395)
C (3.4594, 4.1087, -5.2054)
C (2.7305, 5.2226, -5.0863)
C (2.9536, 6.1690, -3.9755)
O (2.2882, 7.1898, -3.8669)
H (4.1617, 6.5404, -2.1920)
H (5.5206, 4.4642, -2.4140)
H (3.3092, 3.4044, -6.0145)
H (1.9504, 5.4806, -5.7925)
C (-3.4885, 3.5861, 6.2989)
C (-2.7596, 2.4721, 6.1799)
C (-2.9826, 1.5258, 5.0691)
O (-2.3173, 0.5049, 4.9605)
C (-4.0406, 1.8587, 4.0946)
C (-4.7695, 2.9726, 4.2137)
C (-4.5464, 3.9190, 5.3245)
O (-5.2118, 4.9398, 5.4331)
H (-3.3383, 4.2904, 7.1080)
H (-1.9794, 2.2142, 6.8860)
H (-4.1908, 1.1544, 3.2855)
H (-5.5496, 3.2306, 3.5075)
C (-6.1885, 7.0575, 10.8418)
C (-5.4596, 5.9435, 10.7228)
C (-5.6826, 4.9972, 9.6120)
O (-5.0173, 3.9764, 9.5034)
C (-6.7406, 5.3301, 8.6375)
C (-7.4695, 6.4441, 8.7565)
C (-7.2464, 7.3904, 9.8673)
O (-7.9118, 8.4112, 9.9759)
H (-6.0383, 7.7618, 11.6509)
H (-4.6794, 5.6856, 11.4289)
H (-6.8908, 4.6258, 7.8284)
H (-8.2496, 6.7020, 8.0504)
C (8.9909, -3.5223, -3.4125)
C (10.1782, -3.8130, -2.8720)
C (11.4255, -3.2289, -3.4033)
O (12.5128, -3.4960, -2.9104)
C (11.3098, -2.3104, -4.5534)
C (10.1226, -2.0196, -5.0940)
C (8.8753, -2.6037, -4.5626)
O (7.7879, -2.3366, -5.0555)
H (8.0666, -3.9426, -3.0354)
H (10.2796, -4.4843, -2.0277)
H (12.2342, -1.8900, -4.9305)
H (10.0212, -1.3483, -5.9383)

---

This record from the Open Molecules 2025 dataset describes a molecular structure, C47H44F4N8OSSeSiY. The level of theory is wB97M-V/def2-TZVPD.

Net charge: -1
HOMO energy (eV): -4.412

Atoms and positions in Å:
Y (0.8394, 0.5239, -0.1962)
O (2.6616, 0.7916, 1.2354)
C (3.8796, 0.2271, 0.7916)
C (4.1250, 0.5061, -0.6705)
C (5.3649, 0.2390, -1.2394)
C (5.5259, 0.4036, -2.6008)
C (4.4454, 0.8323, -3.3583)
C (3.2550, 1.0967, -2.7104)
N (3.0978, 0.9543, -1.3920)
H (2.8484, 1.7662, 1.3561)
~~~

Exercise:
Your job: echo every line further up that contains the word "HOMO".

Response:
HOMO energy (eV): -9.951
HOMO energy (eV): -4.412